Sunday, August 29, 2010

Lead Me

"To lead them with strong hands,
To stand up when they can't.
Don't leave them hungry for love,
Chasing things that I could give up.

I'll show them I'm willing to fight,
And give them the best of my life,
So we can call this our home.
Lead me, 'cause I can't do this alone."

This is from the song, Lead Me, by Sanctus Real.  The first time I heard it, the words struck a chord deep within me.  After this summer, it has come to have two different, yet very real, meanings for me. 

I spent one of the break days this summer with the family of a friend.  We were at his sister and brother-in-law's house, enjoying conversation and watching his brother-in-law and nephew set off fireworks.  As I was leaving, his sister gave me a hug and said, "Take care of my baby this week."  (Her son was coming as a camper that coming week.)  I started thinking about that as I began the drive back to camp.  Every child that comes to camp is some mother's baby.  Every child that comes has a mother/father/grandparent/whatever who is releasing that child and saying, "Take care of my baby."  We've been given the awesome privilege of serving, loving, and protecting these "babies" for each week.  But with great privilege comes great responsibility.  We are charged to not only play with them, serve them, love them, but also to protect them - physically, mentally, emotionally, spiritually.  I didn't know my friend's nephew very well, but I know his mom.  I know his dad (who is a big, slightly intimidating man).  I know his uncle.  I know his grandma.  I know how devastating it would be if anything happened to that child, so I will do anything in the world to protect him.  That should be our attitude toward every single one of the kids that comes to camp.  To tie it back to the song, these kids (and their parents/guardians) are calling for us to lead with strong hands, stand up for them against the darkness, show them that we (and God) love them and that we're willing to fight for them.  That was our responsibility, and great privilege, this summer.

• Attached: data records:
+++
Record 1
Starting from the PBE geometry in Alexandria, the X-ray diffraction stick pattern of K2MgAsBr6 was computed for Cu Kα X-rays.
Peak positions follow from Bragg's law for the DFT cell and can differ from measured ones.

Main lines, by angle (5° ≤ 2θ ≤ 70°):
14.26°, I = 29.3, (0 0 1); 24.50°, I = 42.0, (0 1 -2); 24.93°, I = 38.6, (1 0 -2); 27.96°, I = 30.0, (2 0 0); 28.24°, I = 100.0, (0 2 0); 28.54°, I = 21.1, (2 0 -2); 28.75°, I = 29.6, (0 0 2); 33.91°, I = 44.9, (2 -2 0); 34.88°, I = 38.9, (2 2 -2); 45.64°, I = 29.2, (-2 2 2)

Structural model:
Unit cell a=7.3396 b=7.4089 c=8.0363 alpha=117.26 beta=115.22 gamma=91.63
Space group P-1 (No. 2)
Asymmetric unit:
K1 0.2340 0.2259 0.4523
Mg1 0.5000 0.0000 0.0000
As1 0.0000 0.5000 0.0000
Br1 0.1821 0.1961 0.9952
Br2 0.2568 0.7328 0.5959
Br3 0.3567 0.7603 0.1330

Record 2
Starting from the PBE geometry in Alexandria, the X-ray diffraction stick pattern of La4AsBrO8 was computed for Cu Kα X-rays.
Peak positions follow from Bragg's law for the DFT cell and can differ from measured ones.

Main lines, by angle (5° ≤ 2θ ≤ 70°):
12.92°, I = 7.6, (0 0 2); 21.94°, I = 6.3, (2 0 1); 28.73°, I = 100.0, (2 0 3); 29.79°, I = 41.2, (2 2 0); 39.47°, I = 10.6, (0 0 6); 42.64°, I = 18.7, (4 0 0); 50.22°, I = 24.5, (2 2 6); 52.23°, I = 32.6, (2 4 3); 59.49°, I = 9.2, (4 0 6); 65.11°, I = 10.9, (2 0 9)

Structural model:
Unit cell a=8.4817 b=8.4817 c=13.6998 alpha=90.00 beta=90.00 gamma=90.00
Space group P4_2/m (No. 84)
Asymmetric unit:
La1 0.0125 0.7559 0.1664
La2 0.2441 0.4851 0.3317
As1 0.0441 0.7469 0.5000
Br1 0.2525 0.5579 0.0000
O1 0.0000 0.0000 0.2500
O2 0.0000 0.5000 0.2369
O3 0.0677 0.2534 0.3959
O4 0.0875 0.1645 0.0000
O5 0.1663 0.5829 0.5000
O6 0.2494 0.7435 0.2665
O7 0.5000 0.5000 0.2500

Record 3
Starting from the PBE geometry in Alexandria, the X-ray diffraction stick pattern of La8AsP3Br4 was computed for Cu Kα X-rays.
Peak positions follow from Bragg's law for the DFT cell and can differ from measured ones.

Main lines, by angle (5° ≤ 2θ ≤ 70°):
25.29°, I = 19.6, (2 0 2); 29.01°, I = 100.0, (0 2 4); 31.54°, I = 12.5, (2 0 5); 40.88°, I = 30.4, (2 0 8); 42.10°, I = 38.6, (2 2 0); 51.95°, I = 23.3, (4 0 4); 57.17°, I = 10.3, (2 2 9); 60.16°, I = 16.4, (0 4 8); 67.23°, I = 11.1, (2 2 12); 69.00°, I = 17.8, (2 4 4)

Structural model:
Unit cell a=8.5854 b=8.5854 c=21.9488 alpha=90.00 beta=90.00 gamma=120.00
Space group R-3m (No. 166, hexagonal axes)
Asymmetric unit:
La1 0.0000 0.0000 0.2358
La2 0.0092 0.5046 0.7632
As1 0.0000 0.0000 0.5000
P1 0.0000 0.5000 0.5000
Br1 0.0000 0.0000 0.0000
Br2 0.0000 0.5000 0.0000

=====

For YTmSb2, a cell relaxed with GGA-PBE gives the computed powder diffractogram in this record (Cu Ka).
Lines closer than 0.1° are merged.

Structural model:
Lattice parameters (Å, degrees): 4.3410 4.3410 7.4206 90.00 90.00 120.00
Space group P-3m1 (No. 164)
One atom of each set of equivalent atoms:
Y1 0.0000 0.0000 0.0000 x1
Tm1 0.0000 0.0000 0.5000 x1
Sb1 0.3333 0.6667 0.7460 x2
+++

It also applies to my students at school.  Just because we don't have them around the clock for a week doesn't lessen the responsibility.  I have 4 of the most precious kids in my class this year.  They are funny, smart, easy-going, have the most unique personalities, and are the cutest little Eskimo kids I've ever seen.  I am entrusted with those little lives for 7 hours every day.  I am called to love them, serve them, teach them, and protect them.  I need to be willing to lead them with strong hands, stand up and advocate for them, show them God's love, and be willing to fight for what's best for them, even when it's not easy. 

That's actually the last chorus of the song.  The first two times through, the chorus is slightly different:
"Lead me with strong hands.
Stand up when I can't.
Don't leave me hungry for love,
Chasing dreams - but what about us?

<<<
# 1
# Mg14TiBi
Theoretical X-ray diffraction stick pattern, λ = 1.5418 Å (Cu Kα). Input: a structure optimized by DFT (PBE).
Intensities are scaled so that the largest is 100.

The 10 most intense peaks (5° ≤ 2θ ≤ 70°), in order of rising 2θ:
2θ/deg  Rel. int.
8.49  100
15.90  26
16.20  27
18.05  40
18.32  45
23.58  28
32.74  31
34.42  39
36.57  53
37.12  96

Atomic structure:
a = 10.421 Å, b = 6.397 Å, c = 6.397 Å
α = 58.78°, β = 90.00°, γ = 90.00°
Atoms (fractional coordinates):
Mg1 0.000 0.000 0.000
Mg2 0.000 0.002 0.498
Mg3 0.000 0.498 0.002
Mg4 0.000 0.499 0.499
Mg5 0.245 0.668 0.668
Mg6 0.250 0.157 0.671
Mg7 0.250 0.671 0.157
Mg8 0.255 0.161 0.161
Mg9 0.500 0.000 0.497
Mg10 0.500 0.497 0.000
Mg11 0.745 0.161 0.161
Mg12 0.750 0.157 0.671
Mg13 0.750 0.671 0.157
Mg14 0.755 0.668 0.668
Ti1 0.500 0.998 0.998
Bi1 0.500 0.501 0.501

# 2
# Rb2BaLaI6
Theoretical X-ray diffraction stick pattern, λ = 1.5418 Å (Cu Kα). Input: a structure optimized by DFT (PBE).
Intensities are scaled so that the largest is 100.

The 10 most intense peaks (5° ≤ 2θ ≤ 70°), in order of rising 2θ:
2θ/deg  Rel. int.
13.49  44
23.48  59
27.18  100
30.46  25
38.82  76
41.28  13
45.87  28
48.03  27
56.06  13
63.40  35

Atomic structure:
a = 9.279 Å, b = 9.279 Å, c = 9.279 Å
α = 60.00°, β = 60.00°, γ = 60.00°
Atoms (fractional coordinates):
Rb1 0.250 0.250 0.250
Rb2 0.750 0.750 0.750
Ba1 0.000 0.000 0.000
La1 0.500 0.500 0.500
I1 0.257 0.257 0.743
I2 0.257 0.743 0.257
I3 0.257 0.743 0.743
I4 0.743 0.257 0.257
I5 0.743 0.257 0.743
I6 0.743 0.743 0.257

# 3
# YNp4P5
Theoretical X-ray diffraction stick pattern, λ = 1.5418 Å (Cu Kα). Input: a structure optimized by DFT (PBE).
Intensities are scaled so that the largest is 100.

The 10 most intense peaks (5° ≤ 2θ ≤ 70°), in order of rising 2θ:
2θ/deg  Rel. int.
27.50  52
27.69  51
31.97  100
45.58  12
45.86  49
46.06  13
54.17  17
54.47  25
56.78  13
57.19  13

Atomic structure:
a = 10.523 Å, b = 10.523 Å, c = 10.523 Å
α = 158.41°, β = 149.18°, γ = 37.94°
Atoms (fractional coordinates):
Y1 0.000 0.000 0.000
Np1 0.201 0.201 0.000
Np2 0.401 0.401 0.000
Np3 0.599 0.599 0.000
Np4 0.799 0.799 0.000
P1 0.103 0.603 0.500
P2 0.301 0.801 0.500
P3 0.500 0.000 0.500
P4 0.699 0.199 0.500
P5 0.897 0.397 0.500

# 4
# Sn3Pb
Theoretical X-ray diffraction stick pattern, λ = 1.5418 Å (Cu Kα). Input: a structure optimized by DFT (PBE).
Intensities are scaled so that the largest is 100.

The 10 most intense peaks (5° ≤ 2θ ≤ 70°), in order of rising 2θ:
2θ/deg  Rel. int.
29.93  23
30.23  12
31.80  34
34.00  27
34.26  100
44.24  16
53.33  14
58.25  22
63.44  16
63.95  10

Atomic structure:
a = 6.593 Å, b = 6.593 Å, c = 6.593 Å
α = 150.09°, β = 62.82°, γ = 126.16°
Atoms (fractional coordinates):
Sn1 0.000 0.000 0.000
Sn2 0.120 0.378 0.742
Sn3 0.636 0.378 0.258
Pb1 0.493 0.993 0.500

# 5
# KReIrO6
Theoretical X-ray diffraction stick pattern, λ = 1.5418 Å (Cu Kα). Input: a structure optimized by DFT (PBE).
Intensities are scaled so that the largest is 100.
>>>

Show me you're willing to fight,
That I'm still the love of your life.
I know we call this our home,
But I still feel alone."

These are the words that first brought me to tears.  One of my desires is to be married and have a family.  I can't believe God would set that desire in my heart and then call me to be single for the rest of my life (Psalm 37:4).  At the rate I'm going, it's going to be a long while before I get married.  I don't know who he is yet, but I want someone who will do this - truly lead with strong hands, stand up for me, fight for me, show me that I am the love of his life, second only to Jesus.